(Wanted)
Please reproduce only the lines further down with the word "of" in them.

(Input)
'''
Record 1
A cluster of 8 separate species, C17H33N8O19S2 in total at a distorted geometry, computed with wB97M-V/def2-TZVPD.

Geometry as XYZ:
```
79
Properties=species:S:1:pos:R:3:lowdin_charge:R:1
C 0.4924 3.0608 1.9344 -0.1231
C -0.0734 2.7075 0.4125 -0.1614
C -0.6481 3.8050 -0.6618 -0.0239
C -1.1958 3.2147 -2.1084 -0.0700
C -1.2162 1.6317 -2.5359 -0.0177
C -0.6102 0.5291 -1.4379 -0.1482
C -0.6083 -1.0925 -1.7901 -0.2261
S -1.8385 -1.9671 -0.6436 0.6719
O -2.4480 -1.0026 0.4402 -0.4225
O -3.0615 -2.3339 -1.5724 -0.4692
N -1.2666 -3.4837 -0.0013 -0.3616
S 0.0675 -3.2975 1.1020 0.6526
O 0.8856 -4.6461 1.0275 -0.4619
O 1.0739 -2.1779 0.7505 -0.4438
C -0.4072 -3.0940 2.9064 -0.2315
C -1.0957 -1.6553 3.2838 -0.1392
O -2.4318 -1.6635 3.5318 -0.0919
C -0.0554 1.1059 -0.0045 0.0185
H -0.0610 2.2856 2.6534 0.0765
H 1.6501 2.8069 2.0613 0.0850
H 0.2395 4.1736 2.2499 0.0485
H -0.6652 4.9396 -0.3626 0.0477
H -1.6377 3.9979 -2.8806 0.0578
H -1.6391 1.2517 -3.5596 0.0792
H 0.4919 -1.5082 -1.7030 0.1064
H -0.9395 -1.1928 -2.9333 0.0799
H 0.6154 -3.1425 3.5209 0.0915
H -1.0588 -3.9903 3.3282 0.1215
H -0.5021 -0.6218 3.3013 0.1423
H 0.3397 0.3257 0.7877 0.0832
C -1.7044 7.2730 -4.3708 0.0210
N -2.1237 6.8389 -3.0108 -0.4116
O -3.3225 6.9455 -2.7272 0.0496
O -1.2375 6.4036 -2.2665 0.0294
H -2.5816 7.6314 -4.9134 0.0908
H -0.9720 8.0738 -4.2499 0.1041
H -1.2673 6.4074 -4.8729 0.0715
C 1.7266 -4.2228 6.8508 0.0434
N 0.7164 -3.6994 5.8920 -0.4004
O -0.2071 -4.4573 5.5730 0.0554
O 0.8791 -2.5426 5.4866 0.0365
H 1.4598 -5.2465 7.1214 0.1016
H 2.6981 -4.1964 6.3529 0.0625
H 1.7130 -3.5753 7.7299 0.1059
C -1.4462 -3.7061 -5.2721 0.0461
N -1.2285 -2.3776 -5.9059 -0.4157
O -1.1433 -2.3460 -7.1390 0.0405
O -1.1491 -1.4043 -5.1475 0.0369
H -1.4956 -4.4667 -6.0541 0.0912
H -0.6034 -3.8944 -4.6038 0.1067
H -2.3873 -3.6579 -4.7207 0.1074
C -1.1688 7.6391 2.8299 0.0417
N -0.2554 7.2092 1.7369 -0.3959
O -0.2800 6.0154 1.4156 0.0148
O 0.4604 8.0822 1.2326 0.0560
H -1.7353 6.7729 3.1782 0.0996
H -0.5520 8.0452 3.6343 0.0990
H -1.8380 8.3986 2.4205 0.1008
C -1.3565 5.5429 -8.9364 0.0428
N -1.3190 6.0684 -7.5450 -0.4055
O -2.3354 5.9206 -6.8565 0.0485
O -0.2702 6.6146 -7.1833 0.0558
H -2.3343 5.0913 -9.1173 0.0978
H -1.1901 6.3850 -9.6114 0.1009
H -0.5642 4.7973 -9.0286 0.1050
C 0.5825 -7.6300 2.1290 0.0351
N 1.6134 -8.4584 2.8108 -0.4267
O 1.2514 -9.5484 3.2689 0.0374
O 2.7567 -7.9910 2.8669 0.0302
H -0.3711 -8.1616 2.1539 0.0963
H 0.5105 -6.6835 2.6688 0.0865
H 0.9115 -7.4761 1.0994 0.1017
C 5.5197 -5.2857 4.2439 0.0531
N 5.5573 -4.7602 5.6354 -0.4041
O 4.5409 -4.9079 6.3239 0.0215
O 6.6061 -4.2140 5.9971 0.0586
H 4.5420 -5.7373 4.0631 0.0945
H 5.6862 -4.4436 3.5690 0.1078
H 6.3120 -6.0313 4.1518 0.1038
```

Properties
electronic energy	-90626.031	eV
total charge	-1
gap between HOMO and LUMO	6.21	eV
LUMO	0.0322	hartree

=====

Record 2
A cluster of 3 separate species, C17H34F6N2O7Si in total at a distorted geometry, computed with wB97M-V/def2-TZVPD.

Geometry as XYZ:
```
67
Properties=species:S:1:pos:R:3:lowdin_charge:R:1
O 2.6272 0.3866 -1.1811 0.1491
C 2.8039 1.3013 -1.9516 -0.4138
O 3.0281 1.1452 -3.2641 0.1446
C 2.8548 2.7652 -1.4744 -0.3475
F 3.8254 3.3884 -2.1582 0.1560
F 3.1847 2.7293 -0.1756 0.1547
C 1.5180 3.6182 -1.6044 -0.3490
F 1.8324 4.7306 -2.3020 0.1501
F 1.1301 4.0050 -0.3877 0.1689
C 0.3300 2.9765 -2.3490 -0.4384
F -0.5965 3.9588 -2.4780 0.1361
F 0.6970 2.6099 -3.5861 0.1147
C -0.4134 1.8189 -1.6030 -0.3679
O -0.8406 2.0440 -0.4906 0.0674
Si -0.6898 0.0778 -2.4084 0.7858
H 2.5730 0.3439 -3.5482 0.1271
H 0.1018 -0.8299 -1.5598 -0.0597
H -0.0537 0.0645 -3.7418 -0.0609
H -2.1061 -0.3040 -2.4396 -0.0597
C 6.0069 -6.1971 -1.7594 -0.1148
O 4.7157 -6.6527 -1.4060 -0.1926
C 4.4553 -6.6755 -0.0079 -0.2159
C 3.4767 -5.5926 0.4006 -0.2165
N 4.0652 -4.2640 0.2918 -0.0504
C 3.1189 -3.1536 0.3990 -0.1917
C 1.9652 -3.0591 -0.5959 -0.2327
O 2.3521 -2.7298 -1.9207 -0.2068
C 2.8433 -3.8197 -2.6814 -0.0954
H 6.1612 -6.4373 -2.8101 0.0883
'''

(Worked solution)
A cluster of 8 separate species, C17H33N8O19S2 in total at a distorted geometry, computed with wB97M-V/def2-TZVPD.
A cluster of 3 separate species, C17H34F6N2O7Si in total at a distorted geometry, computed with wB97M-V/def2-TZVPD.